## Work order
Type out everything further down word for word, please.
## Contents
=====
65
Properties=species:S:1:pos:R:3:forces:R:3 method="wB97M-V/def2-TZVPD" e_above_lowest_ev=2.026 e_tot_ev=-62536.89411 total_charge=+1
Rh -0.54479 0.36597 -0.47013 -0.3939 -0.7037 -0.2938
N 0.29463 3.13612 2.76365 -0.0655 -0.1721 0.0761
C 0.17463 2.03984 1.97664 0.1522 0.1687 0.2651
S -1.30832 1.87710 1.09711 -0.3749 -0.1380 -0.0396
N 1.16760 1.19665 1.95675 -0.0390 -0.0465 -0.3853
N 0.92462 0.16649 1.07444 -0.0467 0.5262 0.3810
C 1.57038 -0.93219 1.27305 -0.0471 -0.1290 -0.2251
C 2.59156 -1.11013 2.33167 -0.0636 0.0238 0.0135
C 3.66199 -0.22650 2.43883 0.1081 -0.0694 -0.0825
C 4.62295 -0.41507 3.41753 0.0017 -0.0090 -0.0115
C 4.51663 -1.47696 4.30582 0.0079 -0.0138 -0.0085
C 3.44300 -2.35001 4.21630 -0.0085 0.0109 -0.0076
C 2.48520 -2.16922 3.22989 -0.0451 0.0565 0.0953
C 1.20165 -2.05473 0.38365 0.1769 0.2287 0.0106
C 1.89134 -3.26026 0.39522 -0.0131 -0.0410 -0.0782
C 1.44885 -4.29811 -0.40861 0.0341 0.0615 0.0082
C 0.34791 -4.08704 -1.21767 0.0231 0.0301 -0.0764
C -0.24331 -2.83432 -1.22477 0.1435 0.0007 -0.0318
N 0.16184 -1.83185 -0.44471 0.0264 -0.0873 0.2722
H -0.52516 3.68289 2.95978 0.0137 0.0444 -0.0573
H 1.02413 3.12694 3.45766 0.0086 -0.0043 -0.0025
H 3.74706 0.59937 1.74646 -0.0334 0.0294 0.0337
H 5.45541 0.27161 3.49042 0.0156 -0.0063 -0.0078
H 5.27280 -1.62565 5.06487 -0.0092 0.0159 0.0211
H 3.34890 -3.17172 4.91326 -0.0010 -0.0011 0.0074
H 1.63761 -2.84153 3.17680 0.0072 -0.0213 -0.0221
H 2.76154 -3.37454 1.02271 -0.0080 -0.0091 0.0256
H 1.96549 -5.24817 -0.40803 -0.0104 -0.0144 0.0113
H -0.04258 -4.86370 -1.85946 0.0040 0.0001 -0.0064
H -1.07012 -2.63160 -1.88767 -0.0484 -0.0186 0.0251
C 2.71904 0.67893 -1.37236 -0.0201 -0.0036 -0.0368
N 1.37537 0.70812 -1.95498 0.0715 -0.5197 -0.1271
C 1.28452 -0.33520 -2.98743 -0.0063 0.1775 -0.1378
C 1.12902 2.02519 -2.55431 0.0580 0.0693 0.1421
C -0.32499 2.35527 -2.63804 -0.1381 -0.1272 -0.0125
C -0.77021 3.25271 -3.61002 0.0542 -0.0352 0.0446
C -2.06815 3.72236 -3.60727 -0.0339 0.0447 -0.0474
C -2.92581 3.31629 -2.59546 -0.0327 0.0209 0.0299
C -2.49691 2.40781 -1.64275 0.1367 0.0578 -0.0716
C -1.21240 1.86695 -1.67552 0.3783 0.3348 -0.0073
H 3.48219 0.85521 -2.14114 0.0019 0.0115 0.0115
H 2.90964 -0.29473 -0.92199 0.0190 -0.0147 -0.0282
H 2.80311 1.44677 -0.60404 -0.0008 -0.0180 0.0143
H 1.98932 -0.13323 -3.80486 0.0005 -0.0153 -0.0005
H 0.27464 -0.36058 -3.39914 0.0027 0.0033 -0.0131
H 1.52528 -1.30550 -2.56009 -0.0058 -0.0071 0.0001
H 1.62117 2.09067 -3.53332 -0.0025 0.0490 0.0064
H 1.59996 2.77054 -1.90658 0.0214 -0.0195 -0.0054
H -0.07258 3.60016 -4.36314 0.0106 -0.0089 -0.0101
H -2.40043 4.41876 -4.36514 0.0031 0.0029 0.0021
H -3.92975 3.72069 -2.54012 -0.0006 -0.0007 0.0088
H -3.17368 2.14206 -0.84563 -0.0144 0.0524 0.0361
C -3.09567 -1.28369 1.65144 0.0141 -0.1051 -0.0238
N -4.03707 -0.56722 0.80160 0.1201 0.0775 0.0677
C -5.26505 -0.07541 1.18969 -0.0600 0.0537 -0.0406
C -5.80774 0.54790 0.11928 -0.0189 -0.0474 0.0783
N -4.89112 0.42879 -0.89729 -0.0454 -0.1482 -0.1058
C -3.80983 -0.25426 -0.48361 0.0138 -0.0670 0.0303
S -2.46341 -0.67455 -1.46019 0.0154 0.4349 0.2365
H -3.44911 -1.22862 2.67673 -0.0123 -0.0081 -0.0016
H -2.11620 -0.81506 1.56898 -0.0379 0.0239 0.0305
H -3.02770 -2.32283 1.33335 -0.0257 -0.0006 -0.0048
H -5.64817 -0.21993 2.18322 0.0168 0.0215 0.0196
H -6.74954 1.05020 -0.00114 -0.0008 0.0094 0.0015
H -4.96112 0.80571 -1.83021 0.0029 -0.0107 0.0044



60
Properties=species:S:1:pos:R:3:forces:R:3 method="wB97M-V/def2-TZVPD" e_above_lowest_ev=2.158 e_tot_ev=-37111.19196 smiles="C#Cc1ccc([C@@H]2C=C(C(=O)NCc3ccccc3)O[C@H](OCC)[C@H]2CCCO)cc1"
C -5.50781 -4.74493 0.82685 0.3271 0.4948 -0.1993
C -4.88920 -3.79075 0.44180 -0.4354 -0.6601 0.2685
C -4.16258 -2.66396 -0.01198 0.2672 0.4424 -0.1563
C -2.80967 -2.77572 -0.32782 -0.0471 0.0059 -0.0008
C -2.10428 -1.67421 -0.76924 -0.1180 0.0066 -0.0924
C -2.72612 -0.43980 -0.90158 -0.1372 -0.1497 -0.1903
C -1.98117 0.79467 -1.36818 0.0190 0.0364 0.2937
C -0.63893 0.46734 -1.93625 0.2307 0.1980 0.0732
=====
## Here it is
65
Properties=species:S:1:pos:R:3:forces:R:3 method="wB97M-V/def2-TZVPD" e_above_lowest_ev=2.026 e_tot_ev=-62536.89411 total_charge=+1
Rh -0.54479 0.36597 -0.47013 -0.3939 -0.7037 -0.2938
N 0.29463 3.13612 2.76365 -0.0655 -0.1721 0.0761
C 0.17463 2.03984 1.97664 0.1522 0.1687 0.2651
S -1.30832 1.87710 1.09711 -0.3749 -0.1380 -0.0396
N 1.16760 1.19665 1.95675 -0.0390 -0.0465 -0.3853
N 0.92462 0.16649 1.07444 -0.0467 0.5262 0.3810
C 1.57038 -0.93219 1.27305 -0.0471 -0.1290 -0.2251
C 2.59156 -1.11013 2.33167 -0.0636 0.0238 0.0135
C 3.66199 -0.22650 2.43883 0.1081 -0.0694 -0.0825
C 4.62295 -0.41507 3.41753 0.0017 -0.0090 -0.0115
C 4.51663 -1.47696 4.30582 0.0079 -0.0138 -0.0085
C 3.44300 -2.35001 4.21630 -0.0085 0.0109 -0.0076
C 2.48520 -2.16922 3.22989 -0.0451 0.0565 0.0953
C 1.20165 -2.05473 0.38365 0.1769 0.2287 0.0106
C 1.89134 -3.26026 0.39522 -0.0131 -0.0410 -0.0782
C 1.44885 -4.29811 -0.40861 0.0341 0.0615 0.0082
C 0.34791 -4.08704 -1.21767 0.0231 0.0301 -0.0764
C -0.24331 -2.83432 -1.22477 0.1435 0.0007 -0.0318
N 0.16184 -1.83185 -0.44471 0.0264 -0.0873 0.2722
H -0.52516 3.68289 2.95978 0.0137 0.0444 -0.0573
H 1.02413 3.12694 3.45766 0.0086 -0.0043 -0.0025
H 3.74706 0.59937 1.74646 -0.0334 0.0294 0.0337
H 5.45541 0.27161 3.49042 0.0156 -0.0063 -0.0078
H 5.27280 -1.62565 5.06487 -0.0092 0.0159 0.0211
H 3.34890 -3.17172 4.91326 -0.0010 -0.0011 0.0074
H 1.63761 -2.84153 3.17680 0.0072 -0.0213 -0.0221
H 2.76154 -3.37454 1.02271 -0.0080 -0.0091 0.0256
H 1.96549 -5.24817 -0.40803 -0.0104 -0.0144 0.0113
H -0.04258 -4.86370 -1.85946 0.0040 0.0001 -0.0064
H -1.07012 -2.63160 -1.88767 -0.0484 -0.0186 0.0251
C 2.71904 0.67893 -1.37236 -0.0201 -0.0036 -0.0368
N 1.37537 0.70812 -1.95498 0.0715 -0.5197 -0.1271
C 1.28452 -0.33520 -2.98743 -0.0063 0.1775 -0.1378
C 1.12902 2.02519 -2.55431 0.0580 0.0693 0.1421
C -0.32499 2.35527 -2.63804 -0.1381 -0.1272 -0.0125
C -0.77021 3.25271 -3.61002 0.0542 -0.0352 0.0446
C -2.06815 3.72236 -3.60727 -0.0339 0.0447 -0.0474
C -2.92581 3.31629 -2.59546 -0.0327 0.0209 0.0299
C -2.49691 2.40781 -1.64275 0.1367 0.0578 -0.0716
C -1.21240 1.86695 -1.67552 0.3783 0.3348 -0.0073
H 3.48219 0.85521 -2.14114 0.0019 0.0115 0.0115
H 2.90964 -0.29473 -0.92199 0.0190 -0.0147 -0.0282
H 2.80311 1.44677 -0.60404 -0.0008 -0.0180 0.0143
H 1.98932 -0.13323 -3.80486 0.0005 -0.0153 -0.0005
H 0.27464 -0.36058 -3.39914 0.0027 0.0033 -0.0131
H 1.52528 -1.30550 -2.56009 -0.0058 -0.0071 0.0001
H 1.62117 2.09067 -3.53332 -0.0025 0.0490 0.0064
H 1.59996 2.77054 -1.90658 0.0214 -0.0195 -0.0054
H -0.07258 3.60016 -4.36314 0.0106 -0.0089 -0.0101
H -2.40043 4.41876 -4.36514 0.0031 0.0029 0.0021
H -3.92975 3.72069 -2.54012 -0.0006 -0.0007 0.0088
H -3.17368 2.14206 -0.84563 -0.0144 0.0524 0.0361
C -3.09567 -1.28369 1.65144 0.0141 -0.1051 -0.0238
N -4.03707 -0.56722 0.80160 0.1201 0.0775 0.0677
C -5.26505 -0.07541 1.18969 -0.0600 0.0537 -0.0406
C -5.80774 0.54790 0.11928 -0.0189 -0.0474 0.0783
N -4.89112 0.42879 -0.89729 -0.0454 -0.1482 -0.1058
C -3.80983 -0.25426 -0.48361 0.0138 -0.0670 0.0303
S -2.46341 -0.67455 -1.46019 0.0154 0.4349 0.2365
H -3.44911 -1.22862 2.67673 -0.0123 -0.0081 -0.0016
H -2.11620 -0.81506 1.56898 -0.0379 0.0239 0.0305
H -3.02770 -2.32283 1.33335 -0.0257 -0.0006 -0.0048
H -5.64817 -0.21993 2.18322 0.0168 0.0215 0.0196
H -6.74954 1.05020 -0.00114 -0.0008 0.0094 0.0015
H -4.96112 0.80571 -1.83021 0.0029 -0.0107 0.0044



60
Properties=species:S:1:pos:R:3:forces:R:3 method="wB97M-V/def2-TZVPD" e_above_lowest_ev=2.158 e_tot_ev=-37111.19196 smiles="C#Cc1ccc([C@@H]2C=C(C(=O)NCc3ccccc3)O[C@H](OCC)[C@H]2CCCO)cc1"
C -5.50781 -4.74493 0.82685 0.3271 0.4948 -0.1993
C -4.88920 -3.79075 0.44180 -0.4354 -0.6601 0.2685
C -4.16258 -2.66396 -0.01198 0.2672 0.4424 -0.1563
C -2.80967 -2.77572 -0.32782 -0.0471 0.0059 -0.0008
C -2.10428 -1.67421 -0.76924 -0.1180 0.0066 -0.0924
C -2.72612 -0.43980 -0.90158 -0.1372 -0.1497 -0.1903
C -1.98117 0.79467 -1.36818 0.0190 0.0364 0.2937
C -0.63893 0.46734 -1.93625 0.2307 0.1980 0.0732